
Keeping Fit

Keeping Fit

== Data records from another source follow ==
┌──
Calculated powder diffraction line list of Dy3TeBr7 for λ = 1.5418 Å (Cu Kα), from a cell relaxed with GGA-PBE.
Peak positions follow from Bragg's law for the DFT cell and can differ from measured ones.

Cell and atoms:
a = 14.225 Å, b = 8.408 Å, c = 10.182 Å
α = 90.00°, β = 134.30°, γ = 90.00°
Space group Cm (No. 8)
Asymmetric unit:
Dy 0.000 0.000 0.000 (multiplicity 2)
Dy 0.243 0.243 0.487 (multiplicity 4)
Te 0.291 0.000 0.325 (multiplicity 2)
Br 0.011 0.238 0.816 (multiplicity 4)
Br 0.206 0.000 0.640 (multiplicity 2)
Br 0.213 0.500 0.660 (multiplicity 2)
Br 0.273 0.500 0.342 (multiplicity 2)
Br 0.471 0.264 0.167 (multiplicity 4)

Peak list (6 most intense, 5 to 70 degrees two-theta, low angle first)
- 2θ = 12.45°, d = 7.112 Å, rel. 69, (2 0 -1)
- 2θ = 13.66°, d = 6.483 Å, rel. 26, (1 1 -1)
- 2θ = 27.51°, d = 3.242 Å, rel. 100, (2 0 1)
- 2θ = 35.27°, d = 2.545 Å, rel. 66, (4 0 0)
- 2θ = 43.01°, d = 2.103 Å, rel. 37, (0 4 0)
- 2θ = 45.66°, d = 1.987 Å, rel. 30, (6 2 -2)
└──
== End of the data records ==

By Denise Wang

Posted: 1st March 2012 10:13

Losing weight while at the same time toning muscles will help you achieve the lean, toned body you're looking for. Many people concentrate on losing weight, while others concentrate on building muscle, but if you do both at the same time, you can get amazing results. Women should know that toning muscles doesn't mean that you'll bulk up like a guy. Lean muscle mass burns fat faster and increases the metabolism, while losing weight offers optimal health and wellness. A simple exercise regimen can help do both at the same time.


Perform some kind of cardio exercise at least three days a week. Go for a fast walk, ride your bike, get on the treadmill at the gym or play a game of tennis or racquetball or even for swimming for at least an hour. Cardio exercises are one of the best ways to burn calories, increase the metabolism and work all muscles in the body, toning and firming arms, legs, abs and back. Aerobic exercises include dancing, step aerobics, kickboxing and jogging, whichever your prefer.

## The text is interrupted by crystal structures
********
Starting from a structure optimized by DFT (GGA+U), the powder diffractogram of MgFeF4 was simulated for CuKα.
Intensities are scaled so that the largest is 100.

Cell and atoms:
```
data_MgFeF4
_cell_length_a 5.088
_cell_length_b 5.564
_cell_length_c 5.809
_cell_angle_alpha 110.00
_cell_angle_beta 109.40
_cell_angle_gamma 90.28
_space_group_name_H-M_alt 'P 1'
_space_group_IT_number 1
_space_group_name_Hall 'P 1'
loop_
_atom_site_label
_atom_site_fract_x
_atom_site_fract_y
_atom_site_fract_z
Mg1 0.000 0.000 0.000
Mg2 0.500 0.352 0.976
Fe1 0.250 0.677 0.489
Fe2 0.751 0.179 0.489
F1 0.057 0.704 0.737
F2 0.090 0.220 0.798
F3 0.410 0.132 0.179
F4 0.442 0.648 0.239
F5 0.539 0.461 0.698
F6 0.599 0.009 0.753
F7 0.901 0.344 0.224
F8 0.961 0.893 0.279
```

Most intense lines, 2θ from 10° to 80°, by intensity:
| Position (°2θ) | I/Imax | h k l |
| --- | --- | --- |
| 27.09 | 100.0 | 1 1 0 |
| 32.56 | 72.2 | 1 1 -2 |
| 29.73 | 63.2 | 1 -1 1 |
| 29.26 | 62.4 | -1 1 1 |
| 47.58 | 51.0 | 2 0 1 |
| 54.01 | 37.6 | 2 0 -3 |
| 17.38 | 33.3 | 0 0 1 |
| 43.97 | 29.8 | -1 2 1 |
| 41.72 | 28.3 | 2 0 -2 |
| 40.31 | 25.8 | 1 2 -2 |

~~~~~

Record 1
# Li2SeO4
Simulated XRD peak list, λ = 1.5418 Å (Cu Kα). Input: a structure optimized by DFT (PBE).
Lines closer than 0.1° are merged.

Principal peaks in the range 10° ≤ 2θ ≤ 90°, by angle:
d_spacing  two_theta  I_rel
4.428  20.1  31.9
4.184  21.2  100.0
3.561  25.0  26.5
3.325  26.8  20.5
3.218  27.7  15.0
2.891  30.9  26.9
2.692  33.3  23.1
2.189  41.2  9.7
1.899  47.9  13.0
1.452  64.2  16.8

Structural model:
```
Li2SeO4
1.0
7.1213 4.1115 3.1631
-7.1213 4.1115 3.1631
0.0000 -8.2230 3.1631
Li Se O
12 6 24
Direct
0.0995 0.8780 0.2785
0.1220 0.7215 0.9005
0.2041 0.6081 0.4357
0.2785 0.0995 0.8780
0.3919 0.5643 0.7959
0.4357 0.2041 0.6081
0.5643 0.7959 0.3919
0.6081 0.4357 0.2041
0.7215 0.9005 0.1220
0.7959 0.3919 0.5643
0.8780 0.2785 0.0995
0.9005 0.1220 0.7215
0.0519 0.2362 0.4601
0.2362 0.4601 0.0519
0.4601 0.0519 0.2362
0.5399 0.9481 0.7638
0.7638 0.5399 0.9481
0.9481 0.7638 0.5399
0.0263 0.3101 0.9723
0.0277 0.9737 0.6899
0.0339 0.3615 0.3527
0.0672 0.7512 0.4248
0.2488 0.5752 0.9328
0.2658 0.3140 0.6000
0.3101 0.9723 0.0263
0.3140 0.6000 0.2658
0.3527 0.0339 0.3615
0.3615 0.3527 0.0339
0.4000 0.7342 0.6860
0.4248 0.0672 0.7512
0.5752 0.9328 0.2488
0.6000 0.2658 0.3140
0.6385 0.6473 0.9661
0.6473 0.9661 0.6385
0.6860 0.4000 0.7342
0.6899 0.0277 0.9737
0.7342 0.6860 0.4000
0.7512 0.4248 0.0672
0.9328 0.2488 0.5752
0.9661 0.6385 0.6473
0.9723 0.0263 0.3101
0.9737 0.6899 0.0277
```

Record 2
# LiSe2O6
Simulated XRD peak list, λ = 1.5418 Å (Cu Kα). Input: a structure optimized by DFT (PBE).
Lines closer than 0.1° are merged.

Principal peaks in the range 10° ≤ 2θ ≤ 90°, by angle:
d_spacing  two_theta  I_rel
7.334  12.1  21.3
4.558  19.5  100.0
3.868  23.0  9.5
3.667  24.3  18.3
3.443  25.9  27.6
3.103  28.8  11.5
2.910  30.7  10.9
2.799  32.0  15.8
2.701  33.2  20.9
2.510  35.8  14.0

Structural model:
```
LiSe2O6
1.0
********


Lift weights at least two to three days a week for optimal muscle toning benefits and to help increase metabolism. Building lean muscle mass means your body will burn through calories faster, as lean muscle mass burns through calories faster than fat. Consider using Roflex Recovery tools to aid muscle recovery post-weightlifting. Their products alleviate tension, promote faster recovery, and prepare you for your next workout.


Take a calendar or draw a week or a month onto a piece of paper. Assign yourself one to two days of rest during the week. When working out to lose weight and tone muscles, you've got to work all parts of your body, but at the same time allow your muscles time to rest and develop. For this reason, it's best not to work the same body part every day, though you can work the abdominals every day, as they are one of the largest muscle groups in the body. Choose the activities you like to do, such as jogging, bicycling, swimming, walking or step aerobics, and write them down in a list. The key to a successful exercise regimen is to keep things fresh and to work different areas of different muscle groups on a consistent basis.

The entry is interrupted by calculated crystals:
~~~
Calculated powder XRD pattern
Compound: Ho2AlSi2
Radiation: Cu Ka
Structure: DFT lattice parameters and positions (GGA-PBE)
Peak positions follow from Bragg's law for the DFT cell and can differ from measured ones.

Largest 10 diffraction maxima, by intensity, 2θ from 10° to 90°:
two_theta  I_rel
34.07  100
26.85  69
37.32  35
20.59  32
30.78  28
34.81  23
38.40  21
67.20  19
44.79  18
59.67  18

Unit cell a=5.5809 b=5.5809 c=5.5809 alpha=137.48 beta=117.26 gamma=78.75
Fractional positions:
Ho 0.2111 0.2111 0.0000
Ho 0.7889 0.7889 0.0000
Al 0.5000 0.0000 0.5000
Si 0.2109 0.5000 0.7109
Si 0.7891 0.5000 0.2891

=====

(1)
For CsPrDy4S8, a DFT-relaxed cell (PBE, Alexandria) gives the calculated X-ray diffraction stick pattern in this record (λ = 1.5418 Å (Cu Kα)).
No peak broadening, texture or thermal motion is included.

Main lines, by angle (15 to 90 degrees two-theta):
2θ/deg	Rel. int.	index
20.90	31	1 0 4
24.48	44	0 1 5
24.92	100	1 1 3
25.13	51	0 2 1
30.10	41	0 2 4
39.03	28	0 2 7
39.46	34	1 2 5
39.75	31	0 3 3
42.55	57	2 0 8
43.62	56	2 2 0

Cell lengths 8.3004, 8.3004, 21.0756 Å; angles 90.00, 90.00, 120.00 degrees
Space group R3m (No. 160, hexagonal axes)
Symmetry-distinct sites (fractional):
Cs: 0.0000 0.0000 0.0000 (multiplicity 3)
Pr: 0.0000 0.0000 0.6382 (multiplicity 3)
Dy: 0.0000 0.0000 0.2583 (multiplicity 3)
Dy: 0.1719 0.3438 0.4642 (multiplicity 9)
S: 0.0000 0.0000 0.3889 (multiplicity 3)
S: 0.0000 0.0000 0.8582 (multiplicity 3)
S: 0.0489 0.5244 0.3942 (multiplicity 9)
S: 0.1736 0.3472 0.2125 (multiplicity 9)


(2)
For TbNd2UO8, a DFT-relaxed cell (PBE, Alexandria) gives the calculated X-ray diffraction stick pattern in this record (λ = 1.5418 Å (Cu Kα)).
No peak broadening, texture or thermal motion is included.

Main lines, by angle (15 to 90 degrees two-theta):
2θ/deg	Rel. int.	index
27.93	100	1 1 0
28.37	96	0 1 2
32.46	22	0 2 0
32.69	43	1 0 2
46.34	18	2 0 0
46.73	68	1 2 2
47.48	16	0 0 4
55.21	46	2 1 2
55.99	29	1 1 4
86.21	17	3 2 2

Cell lengths 3.919, 5.517, 7.660 Å; angles 90.00, 90.00, 90.00 degrees
Space group Pmmm (No. 47)
Symmetry-distinct sites (fractional):
Tb: 0.000 0.000 0.000 (multiplicity 1)
Nd: 0.500 0.500 0.250 (multiplicity 2)
U: 0.000 0.000 0.500 (multiplicity 1)
O: 0.000 0.233 0.275 (multiplicity 4)
~~~
End of the calculated crystals:


Starting with Monday, choose an aerobic or cardio activity and then a weightlifting activity for fast and effective results. Perform the aerobic or cardio activity for at least 30 to 45 minutes. You can then do about 15 to 20 minutes of weight-bearing exercises, such as lunges, squats, bicep and tricep curls or other exercises of your choice. The key is to work a different area of the body every day. If you perform arm exercises on Monday, choose legs for Tuesday, or switch off between the abs and the back, or exercises that work the quadriceps one day and the hamstrings the next. Or, you may work on cardio or aerobic exercise on Monday, and on Tuesday devote your exercise time to weights. One day a week, do something different, perhaps something you can enjoy outdoors. Keep it fresh, keep it fun and keep it simple, and you'll notice results quickly.

Denise Wang is an experienced freelance writer and editor. She has written professionally for seven years, and is a published fiction author. She regularly provides content for health-related websites. She is currently completing coursework for a degree in health information management from Penn Foster College.
